=====
Entry 1:
First-principles (PBE-GGA) data for a relaxed Dy3Ge2Rh2 crystal, as listed in the Materials Project.

a = 5.6040 Å, b = 7.8824 Å, c = 13.2393 Å
α = 90.00°, β = 90.00°, γ = 90.00°
Space group Pbcm (No. 57)
Inequivalent atoms, fractional coordinates:
Dy (0.1333, 0.2482, 0.2500) x4
Dy (0.3526, 0.6069, 0.1005) x8
Ge (0.1591, 0.2500, 0.0000) x4
Ge (0.3697, 0.6079, 0.7500) x4
Rh (0.1246, 0.5385, 0.5937) x8

Output
Final energy   -177.1 eV per cell
Energy relative to the elements   -0.9250 eV/atom
Crystal system   orthorhombic
Theoretical density   9.52 g cm⁻³

---

Entry 2:
First-principles (PBE-GGA) data for a relaxed Tm12Co5Bi crystal, as listed in the Materials Project.

a = 9.2829 Å, b = 9.2993 Å, c = 9.7906 Å
α = 90.00°, β = 90.00°, γ = 90.00°
Space group Immm (No. 71)
Inequivalent atoms, fractional coordinates:
Tm (0.0000, 0.1922, 0.1887) x8
Tm (0.1826, 0.2155, 0.5000) x8
Tm (0.1965, 0.5000, 0.2888) x8
Co (0.0000, 0.0000, 0.3880) x4
Co (0.0000, 0.5000, 0.5000) x2
Co (0.1252, 0.0000, 0.0000) x4
Bi (0.0000, 0.5000, 0.0000) x2

Output
Final energy   -197.7 eV per cell
Energy relative to the elements   -0.3172 eV/atom
Crystal system   orthorhombic
Theoretical density   9.94 g cm⁻³

---

Entry 3:
First-principles (PBE-GGA) data for a relaxed Ho2Pd2Pb crystal, as listed in the Materials Project.

a = 7.9479 Å, b = 7.9479 Å, c = 3.5716 Å
α = 90.00°, β = 90.00°, γ = 90.00°
Space group P4/mbm (No. 127)
Inequivalent atoms, fractional coordinates:
Ho (0.1703, 0.3297, 0.0000) x4
Pd (0.1256, 0.6256, 0.5000) x4
Pb (0.0000, 0.0000, 0.5000) x2

Output
Final energy   -54.9 eV per cell
Energy relative to the elements   -0.8441 eV/atom
Crystal system   tetragonal
Theoretical density   11.04 g cm⁻³

---

Entry 4:
First-principles (PBE-GGA) data for a relaxed TmZr crystal, as listed in the Materials Project.

a = 3.3854 Å, b = 3.3854 Å, c = 5.3179 Å
α = 90.00°, β = 90.00°, γ = 120.00°
Space group P-6m2 (No. 187)
Inequivalent atoms, fractional coordinates:
Tm (0.0000, 0.0000, 0.0000) x1
Zr (0.6667, 0.3333, 0.5000) x1

Output
Final energy   -12.9 eV per cell
Energy relative to the elements   0.0607 eV/atom
Crystal system   hexagonal
Theoretical density   8.18 g cm⁻³

---

Entry 5:
First-principles (PBE-GGA) data for a relaxed RbTaTiO5 crystal, as listed in the Materials Project.

a = 6.5466 Å, b = 3.8414 Å, c = 19.3264 Å
α = 90.00°, β = 90.00°, γ = 90.00°
Space group Pnma (No. 62)
Inequivalent atoms, fractional coordinates:
Rb (0.2035, 0.2500, 0.1959) x4
Ta (0.2308, 0.2500, 0.8953) x4
Ti (0.1856, 0.2500, 0.5337) x4
O (0.0352, 0.2500, 0.6148) x4
O (0.0647, 0.7500, 0.0723) x4
O (0.1503, 0.7500, 0.5088) x4
O (0.1720, 0.2500, 0.8036) x4
O (0.2379, 0.7500, 0.9229) x4

Output
Final energy   -271.7 eV per cell
Energy relative to the elements   -3.2355 eV/atom
Crystal system   orthorhombic
Theoretical density   5.39 g cm⁻³

---

Entry 6:
First-principles (PBE-GGA) data for a relaxed CuH10C2N2Cl4 crystal, as listed in the Materials Project.

a = 8.2559 Å, b = 7.4535 Å, c = 7.2214 Å
α = 90.00°, β = 90.33°, γ = 90.00°
Space group P2_1/c (No. 14)
Inequivalent atoms, fractional coordinates:
Cu (0.0000, 0.0000, 0.0000) x2
H (0.1813, 0.0518, 0.4294) x4
H (0.2510, 0.5142, 0.1409) x4
H (0.2608, 0.6560, 0.9613) x4
H (0.4348, 0.1950, 0.4897) x4
H (0.4451, 0.0435, 0.2991) x4
C (0.4335, 0.0526, 0.4507) x4
N (0.2716, 0.5213, 0.9987) x4
Cl (0.0400, 0.2057, 0.2324) x4
Cl (0.2789, 0.5420, 0.4695) x4

Output
Final energy   -177.9 eV per cell
Energy relative to the elements   -0.5711 eV/atom
Crystal system   monoclinic
Theoretical density   2.00 g cm⁻³

---

Entry 7:
First-principles (PBE-GGA) data for a relaxed TbCu5Sn crystal, as listed in the Materials Project.

a = 8.2270 Å, b = 5.0179 Å, c = 10.5602 Å
α = 90.00°, β = 90.00°, γ = 90.00°
Space group Pnma (No. 62)
Inequivalent atoms, fractional coordinates:
Tb (0.2468, 0.2500, 0.0629) x4
Cu (0.0588, 0.7500, 0.1022) x4
Cu (0.0651, 0.0013, 0.3132) x8
Cu (0.0870, 0.2500, 0.5180) x4
Cu (0.1862, 0.2500, 0.7455) x4
=====

Restate only the lines further above with the word "coordinates" in them.

Inequivalent atoms, fractional coordinates:
Inequivalent atoms, fractional coordinates:
Inequivalent atoms, fractional coordinates:
Inequivalent atoms, fractional coordinates:
Inequivalent atoms, fractional coordinates:
Inequivalent atoms, fractional coordinates:
Inequivalent atoms, fractional coordinates: